-- Entries --
____________
Entry 1:
The following is a DFT calculation (ωB97M-V/def2-TZVPD) of a molecular structure, C13H14EuIN3O.

Structure (XYZ):
```
33
Properties=species:S:1:pos:R:3
C 2.65867 2.91555 1.16912
C 3.31550 1.59486 0.68385
H 2.16210 3.46404 0.35875
H 3.44996 3.56996 1.55014
H 1.97484 2.80757 2.02734
H 2.96934 1.24186 -0.30180
H 4.38540 1.80289 0.54939
H 3.25613 0.78844 1.42902
C -2.67982 1.45070 -0.27220
C -3.94166 1.15056 -0.78823
C -4.08622 -0.04235 -1.50078
C -2.97703 -0.87638 -1.65081
H -2.48229 2.38559 0.26924
H -4.76285 1.84315 -0.62672
H -5.04457 -0.32641 -1.93262
H -3.04395 -1.81418 -2.19869
N -1.61094 0.65430 -0.39956
C -1.73611 -0.51729 -1.07357
C -0.54749 -1.41214 -1.09849
N 0.59721 -0.95789 -0.51127
C 1.63913 -1.80437 -0.34237
C 0.48254 -3.57180 -1.49729
C 1.62457 -3.11850 -0.83174
H 2.49812 -1.40807 0.21614
H 2.49450 -3.75554 -0.67899
C -0.60781 -2.71366 -1.63023
H -1.52478 -3.03269 -2.11307
H 0.43185 -4.58299 -1.89639
Eu 0.73867 1.30644 0.75303
I -0.73277 4.05996 1.26460
O -0.17346 -0.91866 4.60449
C 0.36197 -0.37141 3.70042
N 0.91122 0.18847 2.76928
```

Results
Kohn-Sham gap (spin up / spin down)   6.4 / 6.9 eV
Max |F|   2.193 eV/A
Charge   0
LUMO energy (spin up / spin down)   -0.035 / -0.035 Eh
Highest occupied orbital energy (spin up / spin down)   -7.33 / -7.85 eV
Multiplicity   8
Energy relative to the best compared isomer or geometry (same formula, charge and spin)   0.56 kcal per mole



Entry 2:
The following is a DFT calculation (ωB97M-V/def2-TZVPD) of a molecular structure, C8H12B2F8K2O6.

Structure (XYZ):
```
38
Properties=species:S:1:pos:R:3
K -21.37658 20.79237 -4.40804
K -20.98033 16.48975 -1.97920
B -23.30886 19.22573 -2.05769
F -22.49011 18.48247 -2.97063
F -22.79732 18.94211 -0.76599
F -23.18517 20.60436 -2.32633
F -24.61484 18.78141 -2.18858
B -19.11884 18.44755 -3.81538
F -18.83553 19.70488 -4.40098
F -19.48775 18.68864 -2.46387
F -20.19134 17.80852 -4.44536
F -17.97342 17.64560 -3.83347
C -14.51433 13.66111 -3.41008
C -14.86619 14.40782 -4.66090
C -15.62652 15.71923 -4.46150
O -14.97865 16.62453 -5.35898
C -13.81352 16.10253 -5.78660
O -13.02176 16.65023 -6.47722
O -13.66429 14.83184 -5.32277
H -13.70705 12.95571 -3.58996
H -15.37660 13.11228 -3.02807
H -14.19159 14.36235 -2.63620
H -15.41062 13.75822 -5.35478
H -15.52571 16.09394 -3.44031
H -16.67842 15.67448 -4.72120
C -17.56113 21.88433 -2.15679
____________

-- What to do --
The reader should restate only the last part of the notes further up, starting with the line that has "-0.30180".

-- Reply --
H 2.96934 1.24186 -0.30180
H 4.38540 1.80289 0.54939
H 3.25613 0.78844 1.42902
C -2.67982 1.45070 -0.27220
C -3.94166 1.15056 -0.78823
C -4.08622 -0.04235 -1.50078
C -2.97703 -0.87638 -1.65081
H -2.48229 2.38559 0.26924
H -4.76285 1.84315 -0.62672
H -5.04457 -0.32641 -1.93262
H -3.04395 -1.81418 -2.19869
N -1.61094 0.65430 -0.39956
C -1.73611 -0.51729 -1.07357
C -0.54749 -1.41214 -1.09849
N 0.59721 -0.95789 -0.51127
C 1.63913 -1.80437 -0.34237
C 0.48254 -3.57180 -1.49729
C 1.62457 -3.11850 -0.83174
H 2.49812 -1.40807 0.21614
H 2.49450 -3.75554 -0.67899
C -0.60781 -2.71366 -1.63023
H -1.52478 -3.03269 -2.11307
H 0.43185 -4.58299 -1.89639
Eu 0.73867 1.30644 0.75303
I -0.73277 4.05996 1.26460
O -0.17346 -0.91866 4.60449
C 0.36197 -0.37141 3.70042
N 0.91122 0.18847 2.76928
```

Results
Kohn-Sham gap (spin up / spin down)   6.4 / 6.9 eV
Max |F|   2.193 eV/A
Charge   0
LUMO energy (spin up / spin down)   -0.035 / -0.035 Eh
Highest occupied orbital energy (spin up / spin down)   -7.33 / -7.85 eV
Multiplicity   8
Energy relative to the best compared isomer or geometry (same formula, charge and spin)   0.56 kcal per mole



Entry 2:
The following is a DFT calculation (ωB97M-V/def2-TZVPD) of a molecular structure, C8H12B2F8K2O6.

Structure (XYZ):
```
38
Properties=species:S:1:pos:R:3
K -21.37658 20.79237 -4.40804
K -20.98033 16.48975 -1.97920
B -23.30886 19.22573 -2.05769
F -22.49011 18.48247 -2.97063
F -22.79732 18.94211 -0.76599
F -23.18517 20.60436 -2.32633
F -24.61484 18.78141 -2.18858
B -19.11884 18.44755 -3.81538
F -18.83553 19.70488 -4.40098
F -19.48775 18.68864 -2.46387
F -20.19134 17.80852 -4.44536
F -17.97342 17.64560 -3.83347
C -14.51433 13.66111 -3.41008
C -14.86619 14.40782 -4.66090
C -15.62652 15.71923 -4.46150
O -14.97865 16.62453 -5.35898
C -13.81352 16.10253 -5.78660
O -13.02176 16.65023 -6.47722
O -13.66429 14.83184 -5.32277
H -13.70705 12.95571 -3.58996
H -15.37660 13.11228 -3.02807
H -14.19159 14.36235 -2.63620
H -15.41062 13.75822 -5.35478
H -15.52571 16.09394 -3.44031
H -16.67842 15.67448 -4.72120
C -17.56113 21.88433 -2.15679